== Request ==
Filter the data further down: keep the lines with the word "Cr".

== Given ==
1.
Here is crystalline Cu2OsW at its relaxed geometry from Alexandria via LeMat-Bulk. Energies are from GGA-PBE.

Lattice parameters (Å, degrees): 2.664 4.157 5.088 90.00 100.58 90.00
Positions (direct):
Cu  0.000  0.000  0.000
Cu  0.076  0.500  0.231
Os  0.654  0.000  0.487
W  0.421  0.500  0.741

Output
Distance to the lowest polymorph of the same formula (eV/f.u.): 0.20
DFT formation energy (meV/atom): 272
Space-group type: No. 6

=====

2.
Here is crystalline TbThHg4 at its relaxed geometry from Alexandria via LeMat-Bulk. Energies are from GGA-PBE.

Lattice parameters (Å, degrees): 5.988 5.988 5.988 60.00 60.00 60.00
Positions (direct):
Tb  0.000  0.000  0.000
Th  0.750  0.750  0.750
Hg  0.375  0.375  0.375
Hg  0.375  0.375  0.875
Hg  0.375  0.875  0.375
Hg  0.875  0.375  0.375

Output
Distance to the lowest polymorph of the same formula (eV/f.u.): 1.11
DFT formation energy (meV/atom): -140
Space-group type: No. 216

=====

3.
Here is crystalline Si2AgPt at its relaxed geometry from Alexandria via LeMat-Bulk. Energies are from GGA-PBE.

Lattice parameters (Å, degrees): 4.473 4.473 5.295 115.29 115.29 47.39
Positions (direct):
Si  0.000  0.000  0.000
Si  0.135  0.135  0.540
Ag  0.358  0.358  0.323
Pt  0.667  0.667  0.859

Output
Raw formation energy (eV per atom): -0.124
Distance to the lowest polymorph of the same formula (eV/f.u.): 0.00
Space-group type: No. 8

=====

4.
Here is crystalline ScRh2CN at its relaxed geometry from Alexandria via LeMat-Bulk. Energies are from GGA-PBE.

Lattice parameters (Å, degrees): 3.844 3.844 4.732 90.00 90.00 90.00
Positions (direct):
Sc  0.000  0.000  0.000
Rh  0.000  0.500  0.500
Rh  0.500  0.000  0.500
C  0.000  0.000  0.500
N  0.500  0.500  0.000

Output
Raw formation energy (eV per atom): 0.422
Space-group type: No. 123

=====

5.
Here is crystalline Mn2TlCoAs at its relaxed geometry from Alexandria via LeMat-Bulk. Energies are from GGA-PBE.

Lattice parameters (Å, degrees): 5.021 5.021 4.789 90.00 90.00 90.00
Positions (direct):
Mn  0.000  0.500  0.000
Mn  0.500  0.000  0.000
Tl  0.000  0.000  0.000
Co  0.000  0.000  0.500
As  0.500  0.500  0.500

Output
DFT formation energy (meV/atom): 1422
Space-group type: No. 123

=====

6.
Here is crystalline Cr4Cl at its relaxed geometry from Alexandria via LeMat-Bulk. Energies are from GGA-PBE.

Lattice parameters (Å, degrees): 4.426 4.426 4.426 109.47 109.47 109.47
Positions (direct):
Cr  0.000  0.000  0.500
Cr  0.000  0.500  0.000
Cr  0.500  0.000  0.000
Cr  0.500  0.500  0.500
Cl  0.000  0.000  0.000

Output
Raw formation energy (eV per atom): 1.297
Distance to the lowest polymorph of the same formula (eV/f.u.): 3.05
Space-group type: No. 229

=====

7.
Here is crystalline Zn2RuCl at its relaxed geometry from Alexandria via LeMat-Bulk. Energies are from GGA-PBE.

Lattice parameters (Å, degrees): 3.004 3.039 7.332 90.00 90.00 90.00
Positions (direct):
Zn  0.000  0.000  0.215
Zn  0.000  0.000  0.785
Ru  0.500  0.500  0.000
Cl  0.500  0.000  0.500

Output
Raw formation energy (eV per atom): -0.069
Distance to the lowest polymorph of the same formula (eV/f.u.): 0.00
Space-group type: No. 47

=====

8.
Here is crystalline TaCo2Se at its relaxed geometry from Alexandria via LeMat-Bulk. Energies are from GGA-PBE.

Lattice parameters (Å, degrees): 3.849 3.849 3.656 90.00 90.00 90.00
Positions (direct):
Ta  0.000  0.000  0.000
Co  0.000  0.500  0.500
Co  0.500  0.000  0.500
Se  0.500  0.500  0.000

Output
Raw formation energy (eV per atom): 0.144
Space-group type: No. 123

=====

9.
Here is crystalline ThUSe4 at its relaxed geometry from Alexandria via LeMat-Bulk. Energies are from GGA-PBE.

Lattice parameters (Å, degrees): 4.890 4.890 6.922 90.00 90.00 90.00
Positions (direct):
Th  0.000  0.000  0.000
U  0.500  0.500  0.500
Se  0.000  0.500  0.255
Se  0.000  0.500  0.745
Se  0.500  0.000  0.255
Se  0.500  0.000  0.745

Output
Raw formation energy (eV per atom): -1.407
Space-group type: No. 123

=====

10.

== Outcome ==
Cr  0.000  0.000  0.500
Cr  0.000  0.500  0.000
Cr  0.500  0.000  0.000
Cr  0.500  0.500  0.500